Job.
Start at the top of the listing further below and set down each line, ending with the one that has "(4)".
Input.
-- begin --
Arrangement A

A plane-wave DFT calculation with GGA+U was carried out for crystalline MgV2In2O8 at its relaxed geometry.

Cell: 5.373 5.373 6.623 Å, 90.00 90.00 113.11°
Element x y z (fractional)
1 Mg 0.659 0.341 0.750
2 V 0.643 0.357 0.250
3 V 0.340 0.660 0.750
4 In 0.001 0.999 0.497
5 In 0.001 0.999 0.003
6 O 0.239 0.761 0.529
7 O 0.758 0.242 0.018
8 O 0.758 0.242 0.482
9 O 0.239 0.761 0.971
10 O 0.733 0.745 0.750
11 O 0.274 0.215 0.250
12 O 0.785 0.726 0.250
13 O 0.255 0.267 0.750

Properties
Volume in Å³/atom: 13.5



Arrangement B

A plane-wave DFT calculation with GGA+U was carried out for crystalline MgV2In2O8 at its relaxed geometry.

Cell: 5.193 5.160 6.366 Å, 87.05 93.33 104.28°
Element x y z (fractional)
1 Mg 0.325 0.578 0.645
2 V 0.007 0.257 0.157
3 V 0.986 0.774 0.886
4 In 0.626 0.171 0.629
5 In 0.500 0.747 0.167
6 O 0.758 0.018 0.922
7 O 0.214 0.504 0.934
8 O 0.192 0.994 0.114
9 O 0.807 0.531 0.106
10 O 0.744 0.056 0.352
11 O 0.261 0.441 0.365
12 O 0.232 0.928 0.681
13 O 0.710 0.576 0.677

Properties
Volume in Å³/atom: 12.7



Ranking the structures above by energy, arrangement A is first and the second is 1.4 kJ/mol of atoms behind.

* * * * *

(1)
A geometry-optimized TaSbO4 structure. Source: the Materials Project, functional PBE-GGA.

Results
For the calculated volume, the calculation gives 24.92 Å³/atom.

Unit cell a=5.7752 b=20.1774 c=5.1335 alpha=90.00 beta=90.00 gamma=90.00
Fractional positions:
Ta  0.2500  0.0000  0.0090
Ta  0.2500  0.5000  0.4910
Ta  0.7500  0.0000  0.9910
Ta  0.7500  0.5000  0.5090
Sb  0.1059  0.2500  0.7500
Sb  0.3941  0.7500  0.7500
Sb  0.6059  0.2500  0.2500
Sb  0.8941  0.7500  0.2500
O  0.0066  0.5455  0.6805
O  0.0066  0.9545  0.8195
O  0.1477  0.7217  0.0037
O  0.1477  0.7783  0.4963
O  0.3523  0.2217  0.4963
O  0.3523  0.2783  0.0037
O  0.4934  0.0455  0.8195
O  0.4934  0.4545  0.6805
O  0.5066  0.5455  0.3195
O  0.5066  0.9545  0.1805
O  0.6477  0.7217  0.9963
O  0.6477  0.7783  0.5037
O  0.8523  0.2217  0.5037
O  0.8523  0.2783  0.9963
O  0.9934  0.0455  0.1805
O  0.9934  0.4545  0.3195

(2)
A geometry-optimized TaSbO4 structure. Source: the Materials Project, functional PBE-GGA.

Results
For the calculated volume, the calculation gives 19.51 Å³/atom.

Unit cell a=11.0257 b=6.9682 c=6.0938 alpha=90.00 beta=90.00 gamma=90.00
Fractional positions:
O  0.4923  0.1853  0.5005
O  0.3815  0.4995  0.2439
O  0.5077  0.8147  0.0005
O  0.4923  0.8147  0.4995
O  0.6185  0.5005  0.7439
O  0.8815  0.9995  0.7561
O  0.5077  0.1853  0.9995
O  0.1185  0.9995  0.7439
O  0.8815  0.0005  0.2439
O  0.6185  0.4995  0.2561
O  0.3815  0.5005  0.7561
O  0.0077  0.6853  0.0005
O  0.9923  0.6853  0.4995
O  0.1185  0.0005  0.2561
O  0.0077  0.3147  0.9995
O  0.9923  0.3147  0.5005
Ta  0.0000  0.5002  0.7500
Ta  0.0000  0.4998  0.2500
Ta  0.5000  0.9998  0.7500
Ta  0.5000  0.0002  0.2500
Sb  0.4958  0.5000  0.5000
Sb  0.0042  0.0000  0.0000
Sb  0.5042  0.5000  0.0000
Sb  0.9958  0.0000  0.5000

(3)
A geometry-optimized TaSbO4 structure. Source: the Materials Project, functional PBE-GGA.

Results
For the calculated volume, the calculation gives 17.28 Å³/atom.

Unit cell a=6.2333 b=10.4681 c=6.3549 alpha=90.00 beta=90.00 gamma=90.00
Fractional positions:
Ta  0.2500  0.0000  0.0052
Ta  0.2500  0.5000  0.4948
Ta  0.7500  0.0000  0.9948
Ta  0.7500  0.5000  0.5052
Sb  0.0197  0.2500  0.2500
Sb  0.4803  0.7500  0.2500
Sb  0.5197  0.2500  0.7500
Sb  0.9803  0.7500  0.7500
O  0.0182  0.5206  0.7040
O  0.0182  0.9794  0.7960
O  0.2450  0.6877  0.4507
O  0.2450  0.8123  0.0493
O  0.2550  0.1877  0.0493
O  0.2550  0.3123  0.4507
O  0.4818  0.0206  0.7960
O  0.4818  0.4794  0.7040
O  0.5182  0.5206  0.2960
O  0.5182  0.9794  0.2040
O  0.7450  0.6877  0.5493
O  0.7450  0.8123  0.9507
O  0.7550  0.1877  0.9507
O  0.7550  0.3123  0.5493
O  0.9818  0.0206  0.2040
O  0.9818  0.4794  0.2960

(4)
A geometry-optimized TaTiSbO6 structure. Source: the Materials Project, functional PBE-GGA.

Results
-- stop --
Reply.
Arrangement A

A plane-wave DFT calculation with GGA+U was carried out for crystalline MgV2In2O8 at its relaxed geometry.

Cell: 5.373 5.373 6.623 Å, 90.00 90.00 113.11°
Element x y z (fractional)
1 Mg 0.659 0.341 0.750
2 V 0.643 0.357 0.250
3 V 0.340 0.660 0.750
4 In 0.001 0.999 0.497
5 In 0.001 0.999 0.003
6 O 0.239 0.761 0.529
7 O 0.758 0.242 0.018
8 O 0.758 0.242 0.482
9 O 0.239 0.761 0.971
10 O 0.733 0.745 0.750
11 O 0.274 0.215 0.250
12 O 0.785 0.726 0.250
13 O 0.255 0.267 0.750

Properties
Volume in Å³/atom: 13.5



Arrangement B

A plane-wave DFT calculation with GGA+U was carried out for crystalline MgV2In2O8 at its relaxed geometry.

Cell: 5.193 5.160 6.366 Å, 87.05 93.33 104.28°
Element x y z (fractional)
1 Mg 0.325 0.578 0.645
2 V 0.007 0.257 0.157
3 V 0.986 0.774 0.886
4 In 0.626 0.171 0.629
5 In 0.500 0.747 0.167
6 O 0.758 0.018 0.922
7 O 0.214 0.504 0.934
8 O 0.192 0.994 0.114
9 O 0.807 0.531 0.106
10 O 0.744 0.056 0.352
11 O 0.261 0.441 0.365
12 O 0.232 0.928 0.681
13 O 0.710 0.576 0.677

Properties
Volume in Å³/atom: 12.7



Ranking the structures above by energy, arrangement A is first and the second is 1.4 kJ/mol of atoms behind.

* * * * *

(1)
A geometry-optimized TaSbO4 structure. Source: the Materials Project, functional PBE-GGA.

Results
For the calculated volume, the calculation gives 24.92 Å³/atom.

Unit cell a=5.7752 b=20.1774 c=5.1335 alpha=90.00 beta=90.00 gamma=90.00
Fractional positions:
Ta  0.2500  0.0000  0.0090
Ta  0.2500  0.5000  0.4910
Ta  0.7500  0.0000  0.9910
Ta  0.7500  0.5000  0.5090
Sb  0.1059  0.2500  0.7500
Sb  0.3941  0.7500  0.7500
Sb  0.6059  0.2500  0.2500
Sb  0.8941  0.7500  0.2500
O  0.0066  0.5455  0.6805
O  0.0066  0.9545  0.8195
O  0.1477  0.7217  0.0037
O  0.1477  0.7783  0.4963
O  0.3523  0.2217  0.4963
O  0.3523  0.2783  0.0037
O  0.4934  0.0455  0.8195
O  0.4934  0.4545  0.6805
O  0.5066  0.5455  0.3195
O  0.5066  0.9545  0.1805
O  0.6477  0.7217  0.9963
O  0.6477  0.7783  0.5037
O  0.8523  0.2217  0.5037
O  0.8523  0.2783  0.9963
O  0.9934  0.0455  0.1805
O  0.9934  0.4545  0.3195

(2)
A geometry-optimized TaSbO4 structure. Source: the Materials Project, functional PBE-GGA.

Results
For the calculated volume, the calculation gives 19.51 Å³/atom.

Unit cell a=11.0257 b=6.9682 c=6.0938 alpha=90.00 beta=90.00 gamma=90.00
Fractional positions:
O  0.4923  0.1853  0.5005
O  0.3815  0.4995  0.2439
O  0.5077  0.8147  0.0005
O  0.4923  0.8147  0.4995
O  0.6185  0.5005  0.7439
O  0.8815  0.9995  0.7561
O  0.5077  0.1853  0.9995
O  0.1185  0.9995  0.7439
O  0.8815  0.0005  0.2439
O  0.6185  0.4995  0.2561
O  0.3815  0.5005  0.7561
O  0.0077  0.6853  0.0005
O  0.9923  0.6853  0.4995
O  0.1185  0.0005  0.2561
O  0.0077  0.3147  0.9995
O  0.9923  0.3147  0.5005
Ta  0.0000  0.5002  0.7500
Ta  0.0000  0.4998  0.2500
Ta  0.5000  0.9998  0.7500
Ta  0.5000  0.0002  0.2500
Sb  0.4958  0.5000  0.5000
Sb  0.0042  0.0000  0.0000
Sb  0.5042  0.5000  0.0000
Sb  0.9958  0.0000  0.5000

(3)
A geometry-optimized TaSbO4 structure. Source: the Materials Project, functional PBE-GGA.

Results
For the calculated volume, the calculation gives 17.28 Å³/atom.

Unit cell a=6.2333 b=10.4681 c=6.3549 alpha=90.00 beta=90.00 gamma=90.00
Fractional positions:
Ta  0.2500  0.0000  0.0052
Ta  0.2500  0.5000  0.4948
Ta  0.7500  0.0000  0.9948
Ta  0.7500  0.5000  0.5052
Sb  0.0197  0.2500  0.2500
Sb  0.4803  0.7500  0.2500
Sb  0.5197  0.2500  0.7500
Sb  0.9803  0.7500  0.7500
O  0.0182  0.5206  0.7040
O  0.0182  0.9794  0.7960
O  0.2450  0.6877  0.4507
O  0.2450  0.8123  0.0493
O  0.2550  0.1877  0.0493
O  0.2550  0.3123  0.4507
O  0.4818  0.0206  0.7960
O  0.4818  0.4794  0.7040
O  0.5182  0.5206  0.2960
O  0.5182  0.9794  0.2040
O  0.7450  0.6877  0.5493
O  0.7450  0.8123  0.9507
O  0.7550  0.1877  0.9507
O  0.7550  0.3123  0.5493
O  0.9818  0.0206  0.2040
O  0.9818  0.4794  0.2960

(4)